Richard Corsi, PhD, PE – University of California Davis – COVID accelerated IAQ Research to Practice: What have we learned?
Air Date: 11-19-2021|Episode 646
This week on IAQradio+ we welcome Dr. Richard Corsi Dean of the College of Engineering at University of California Davis. Many will remember Dr. Corsi for his time at the University of Texas and Portland State. We look forward to having him back to discuss his current endeavors and how COVID has accelerated IAQ Research to Practice.
Sarah Haines, PhD – Assistant Professor – University of Toronto – The Puzzle of Buildings & Health; Research to Practice
Air Date: 11-12-2021|Episode 645
This week on IAQradio+ we welcome Dr. Sarah Haines of the University of Toronto Department of Civil & Mineral Engineering. Dr. Haines came to our attention when she was part of a group with Karen Dannemiller, PhD at the Healthy Buildings Summit 2019. It was refreshing to have a group of young academics join us to share interests in healthy buildings research to practice. She has since taken a position at the University of Toronto with Jeff Siegel, PhD another HBS Keynoter and research to practice enthusiast. This week we look forward to learning more about how Sarah and other academics see the puzzle of buildings and health.
- - -
This record from Alexandria via LeMat-Bulk describes a geometry-optimized Rb2Hf2Sc structure. The functional is GGA-PBE.

Spin magnetization in μB per formula unit: 0.82
Electronic total energy in eV/atom: -3.892
Fermi-level density of states in states/eV/f.u.: 8.4
Calculated volume in A^3/atom: 43.3

a = 6.4279 Å, b = 6.4279 Å, c = 5.2422 Å
α = 90.00°, β = 90.00°, γ = 90.00°
Last column: nearest neighbours and their distance in Å.
Sites, in units of the cell vectors:
1 Rb 0.0000 0.5000 0.0000  2 Hf 3.21
2 Rb 0.5000 0.0000 0.0000  2 Hf 3.21
3 Hf 0.0000 0.0000 0.0000  2 Hf 2.62
4 Hf 0.0000 0.0000 0.5000  2 Hf 2.62
5 Sc 0.5000 0.5000 0.5000  8 Rb 4.15, 4 Hf 4.55

This record from Alexandria via LeMat-Bulk describes a geometry-optimized Ta2Bi5O12 structure. The functional is GGA-PBE.

Spin magnetization in μB per formula unit: 0.00
Electronic total energy in eV/atom: -7.148
E_form (uncorrected) in eV per atom: -1.747
Fermi-level density of states in states/eV/f.u.: 3.4
Calculated volume in A^3/atom: 15.2

a = 7.1473 Å, b = 7.1473 Å, c = 7.7325 Å
α = 105.67°, β = 105.67°, γ = 50.08°
Last column: nearest neighbours and their distance in Å.
Sites, in units of the cell vectors:
1 Ta 0.2392 0.7608 0.0000  6 O 1.98-2.11
2 Ta 0.7608 0.2392 0.0000  6 O 1.98-2.11
3 Bi 0.0000 0.0000 0.5000  6 O 2.43-2.44
4 Bi 0.3033 0.3033 0.6410  7 O 2.38-2.54
5 Bi 0.3069 0.3069 0.1739  7 O 2.37-2.62
6 Bi 0.6931 0.6931 0.8261  7 O 2.37-2.62
7 Bi 0.6967 0.6967 0.3590  7 O 2.38-2.54
8 O 0.0020 0.0020 0.8156  2 Ta 2.04
9 O 0.0954 0.5951 0.4216  4 Bi 2.37-2.45
10 O 0.0991 0.5808 0.9140  1 Ta 1.98
11 O 0.4049 0.9046 0.5784  4 Bi 2.37-2.45
12 O 0.4192 0.9009 0.0860  1 Ta 1.98
13 O 0.4971 0.4971 0.1806  2 Ta 2.11
14 O 0.5029 0.5029 0.8194  2 Ta 2.11
15 O 0.5808 0.0991 0.9140  1 Ta 1.98
16 O 0.5951 0.0954 0.4216  4 Bi 2.37-2.45
17 O 0.9009 0.4192 0.0860  1 Ta 1.98
18 O 0.9046 0.4049 0.5784  4 Bi 2.37-2.45
19 O 0.9980 0.9980 0.1844  2 Ta 2.04

This record from Alexandria via LeMat-Bulk describes a geometry-optimized Rb2BeCdTc structure. The functional is GGA-PBE.

Spin magnetization in μB per formula unit: 3.76
Electronic total energy in eV/atom: -1.965
Fermi-level density of states in states/eV/f.u.: 6.2
Calculated volume in A^3/atom: 42.8

a = 6.7769 Å, b = 6.7769 Å, c = 4.6562 Å
α = 90.00°, β = 90.00°, γ = 90.00°
Last column: nearest neighbours and their distance in Å.
Sites, in units of the cell vectors:
1 Rb 0.0000 0.5000 0.0000  2 Cd 3.39
2 Rb 0.5000 0.0000 0.0000  2 Cd 3.39
3 Be 0.0000 0.0000 0.5000  2 Cd 2.33
4 Cd 0.0000 0.0000 0.0000  2 Be 2.33
5 Tc 0.5000 0.5000 0.5000  8 Rb 4.11

This record from Alexandria via LeMat-Bulk describes a geometry-optimized Tb3Nd6Tm structure. The functional is GGA-PBE.

Spin magnetization in μB per formula unit: 0.00
Electronic total energy in eV/atom: -4.483
Fermi-level density of states in states/eV/f.u.: 15.0
Calculated volume in A^3/atom: 35.0
ΔE to the lowest computed polymorph in eV/f.u.: 0.75

a = 5.4760 Å, b = 10.3870 Å, c = 12.5022 Å
- - -
Kevin R. Hart – CEO | HAVEN IAQ – Linking HVAC & IAQ with Sensor Technology
Air Date: 11-5-2021|Episode 644
This week on IAQradio+ we welcome Kevin Hart, Haven IAQ CEO to continue our discussion on HVAC and IAQ. This week we focus on using sensor technology to optimize HVAC affects on IAQ. Kevin is the founder of Haven IAQ and is doing some interesting work linking HVAC and IAQ.  Nate “The House Whisperer” Adams  brought Kevin and Haven to our attention during our last show with him.
Robert Bean, FASHRAE – The Edifice Complex, IAQ, HVAC, Building Science & COVID
Air Date: 10-22-2021|Episode 643
This week we welcome back Robert Bean a retired engineering technology professional having practiced in building construction engineering technology and mechanical engineering for decades. This will be a thought provoking interview on IAQ, HVAC, Building Science and COVID. Mr. Bean specialized in the design of indoor environments and high-performance building systems.
John Mulhausen, PhD, CIH, CSP – AIHA President and Larry Sloan, MBA, FASAE, CAE – AIHA CEO – Accelerating Advancement in Industrial Hygiene Science and Practice
Air Date: 10-15-2021|Episode 642
This week we welcome Dr. John Mulhausen AIHA President and Larry Sloan, AIHA CEO for a discussion on how to accelerate your advancement in the world of industrial hygiene. We will look at how those in the health and safety world can advance and prosper in today’s unique environment.
Chris Howells – Aprilaire Senior Product Manager Ventilation and Purification Systems – HVAC & IAQ: What Works!
Air Date: 10-8-2021|Episode 641
This week we welcome Chris Howells, Aprilaire Senior Product Manager Ventilation and Purification Systems, to talk HVAC & IAQ: What Works!. We have very recently had some excellent building science shows with Joe Lstiburek and Nate Adams. It seems like a good time to see what a major manufacturers’ Product Manager for Ventilation and Purification can tell us what he sees out in the field.
Michelle Blevins – Cleaning and Restoration Industry Update
Air Date: 10-1-2021|Episode 640
This week we welcome Michelle Blevins owner and publisher of C&R Magazine. A lot is happening in the industry and Michelle has her finger on the pulse join us as we dig in and learn more about some of the big changes in the cleaning and restoration industry.
Nate Adams – HVAC 2.0, IAQ and The Art of the Possible
Air Date: 9-24-2021|Episode 639
This week we welcome back Nate “The House Whisperer” Adams for a lesson on HVAC and IAQ. We did not get to discuss HVAC as much as we wanted with Dr. Joe Lstiburek so we asked Nate to join us and continue the discussion. We will talk about his “electrify everything” mantra, the HVAC 2.0 program and BAD ASS HVAC. Nate and his partners are trying to shake things up but also keep in mind “the art of the possible”. The focus of the discussion will primarily be on existing housing, HVAC and IAQ.
Paula Schenck, MPH – UConn Health Division of Occupational and Environmental Medicine – Health and Safety during the COVID Pandemic
Air Date: 9-17-2021|Episode 638
This week we welcome back Paula Schenck, MPH for a discussion about Health and Safety during the COVID Pandemic, risk communication plus a few other current events and topics that will be of great interest to our audience. Paula last joined us in 2016 when she was part of a panel we interviewed at the Maine IAQ Conference in Portland, Maine.
Joe Lstiburek, Ph.D., P.Eng – Moisture Control for Residential Buildings
Air Date: 9-10-2021|Episode 637
This week we welcome back Joe Lstiburek, PhD, P. Eng. for a discussion about his new book “Moisture Control for Residential Buildings”. The first edition came out in 1991 and with all the changes to code, materials, methods, etc. it was time for a new edition. Mission accomplished, now it’s time to LEARN MORE about the current state of Moisture Control for Residential Buildings!